Material
<<<
Simulated X-ray powder pattern
Compound: NaCoClF2
Radiation: Cu Kα X-rays
Structure: the PBE+U geometry in Alexandria

Atomic structure:
Unit cell a=5.587 b=5.587 c=10.652 alpha=90.00 beta=90.00 gamma=90.00
Space group I4cm (No. 108)
Symmetry-distinct sites (fractional):
Na 0.000 0.500 0.000 x4
Co 0.000 0.000 0.177 x4
Cl 0.000 0.000 0.400 x4
F 0.243 0.257 0.141 x8

The 6 most intense peaks (10° ≤ 2θ ≤ 90°), in order of rising 2θ:
2theta	I/Imax	(hkl)
16.65	54.3	0 0 2
22.50	100.0	1 1 0
28.12	56.1	1 1 2
32.04	48.3	2 0 0
40.87	79.1	1 1 4
45.94	61.5	2 2 0

* * * * *

[1]
Diffraction record for Tl2I3O9. The powder diffractogram is calculated, not measured: it uses the PBE geometry in the Materials Project and copper Kα.
No peak broadening, texture or thermal motion is included.

Principal peaks in the range 2θ = 10–80°, low angle first:
- 2θ = 25.84°, I 100.0
- 2θ = 25.94°, I 34.5
- 2θ = 27.11°, I 14.3
- 2θ = 27.36°, I 51.2
- 2θ = 30.27°, I 43.5
- 2θ = 30.66°, I 29.8
- 2θ = 42.54°, I 17.0
- 2θ = 44.59°, I 23.1

Atomic structure:
a b c (Å): 7.219 7.250 10.700
angles (deg): 86.81 72.96 72.24
Sites, in units of the cell vectors:
Tl1 0.000 0.000 0.000
Tl2 0.159 0.031 0.601
Tl3 0.500 0.500 0.000
Tl4 0.841 0.969 0.399
I1 0.034 0.525 0.809
I2 0.412 0.447 0.370
I3 0.446 0.962 0.192
I4 0.554 0.038 0.808
I5 0.588 0.553 0.630
I6 0.966 0.475 0.191
O1 0.040 0.549 0.325
O2 0.077 0.212 0.187
O3 0.157 0.548 0.050
O4 0.287 0.147 0.809
O5 0.320 0.834 0.325
O6 0.337 0.564 0.608
O7 0.410 0.201 0.417
O8 0.436 0.827 0.051
O9 0.467 0.623 0.809
O10 0.533 0.377 0.191
O11 0.564 0.173 0.949
O12 0.590 0.799 0.583
O13 0.663 0.436 0.392
O14 0.680 0.166 0.675
O15 0.713 0.853 0.191
O16 0.843 0.452 0.950
O17 0.923 0.788 0.813
O18 0.960 0.451 0.675

---

[2]
Diffraction record for Mg9Si5. The powder diffractogram is calculated, not measured: it uses the PBE geometry in the Materials Project and copper Kα.
No peak broadening, texture or thermal motion is included.

Principal peaks in the range 2θ = 10–80°, low angle first:
- 2θ = 33.11°, I 100.0
- 2θ = 33.97°, I 44.9
- 2θ = 35.39°, I 44.4
- 2θ = 35.68°, I 50.5
- 2θ = 36.96°, I 35.1
- 2θ = 38.46°, I 46.4
- 2θ = 39.39°, I 30.3
- 2θ = 43.61°, I 92.1

Atomic structure:
a b c (Å): 7.134 7.148 12.496
angles (deg): 93.67 90.11 119.22
Sites, in units of the cell vectors:
Mg1 0.000 0.000 0.000
Mg2 0.003 0.975 0.672
Mg3 0.219 0.396 0.160
Mg4 0.223 0.372 0.831
Mg5 0.248 0.716 0.668
Mg6 0.256 0.361 0.507
Mg7 0.324 0.790 0.002
Mg8 0.377 0.807 0.307
Mg9 0.500 0.219 0.658
Mg10 0.540 0.321 0.004
Mg11 0.586 0.477 0.306
Mg12 0.631 0.889 0.525
Mg13 0.682 0.049 0.827
Mg14 0.722 0.152 0.173
Mg15 0.845 0.569 0.525
Mg16 0.898 0.582 0.829
Mg17 0.968 0.010 0.325
Mg18 0.973 0.655 0.164
Si1 0.004 0.424 0.339
Si2 0.219 0.947 0.492
Si3 0.270 0.002 0.834
Si4 0.304 0.069 0.166
Si5 0.582 0.635 0.689
Si6 0.611 0.686 0.917
Si7 0.625 0.190 0.415
Si8 0.639 0.736 0.145
Si9 0.917 0.302 0.664
Si10 0.952 0.370 0.997

---

[3]
Diffraction record for VCo2Ni. The powder diffractogram is calculated, not measured: it uses the PBE geometry in the Materials Project and copper Kα.
No peak broadening, texture or thermal motion is included.

Principal peaks in the range 2θ = 10–80°, low angle first:
- 2θ = 41.92°, I 42.1
- 2θ = 42.84°, I 13.6
- 2θ = 45.01°, I 52.2
- 2θ = 46.38°, I 100.0
- 2θ = 48.91°, I 90.5
- 2θ = 58.93°, I 11.6
- 2θ = 67.30°, I 10.9
- 2θ = 75.93°, I 29.3

Atomic structure:
a b c (Å): 6.699 6.699 6.699
angles (deg): 43.94 43.94 43.94
Sites, in units of the cell vectors:
V1 0.000 0.000 0.000
V2 0.216 0.216 0.216
V3 0.784 0.784 0.784
Co1 0.230 0.719 0.719
Co2 0.281 0.281 0.770
Co3 0.281 0.770 0.281
Co4 0.719 0.230 0.719
Co5 0.719 0.719 0.230
Co6 0.770 0.281 0.281
Ni1 0.000 0.500 0.500
Ni2 0.500 0.000 0.500
Ni3 0.500 0.500 0.000

---

[4]
Diffraction record for BaTbEuSbO6. The powder diffractogram is calculated, not measured: it uses the PBE geometry in the Materials Project and copper Kα.
No peak broadening, texture or thermal motion is included.
>>>
Assignment
Transcribe only the lines further up with the word "peaks" in them, please.
Solution
The 6 most intense peaks (10° ≤ 2θ ≤ 90°), in order of rising 2θ:
Principal peaks in the range 2θ = 10–80°, low angle first:
Principal peaks in the range 2θ = 10–80°, low angle first:
Principal peaks in the range 2θ = 10–80°, low angle first: